(To do)
Your job: write out the listing further down unchanged.

(Data)
-- begin --
Density functional theory data (PBE-GGA) for crystalline La4CeTm3S8 at its relaxed geometry.

a b c (Å): 7.9921 7.9921 19.9486
angles (deg): 90.00 90.00 120.00
Space group R-3m (No. 166, hexagonal axes)
Inequivalent atoms, fractional coordinates:
La 0.0000 0.0000 0.0000
La 0.0000 0.5000 0.0000
Ce 0.0000 0.0000 0.5000
Tm 0.0000 0.5000 0.5000
S 0.0000 0.0000 0.2412
S 0.0075 0.5037 0.7572

Computed properties:
As for the spin magnetization: 0.0204 μB per atom. For the energy, the calculation gives -6.57 eV per atom. The value obtained for the calculated volume is 23.0 Å³ per atom. For the formation energy from raw total energies, the calculation gives -2.0658 eV/atom.

Density functional theory data (PBE-GGA) for crystalline Pr3YHg6 at its relaxed geometry.

a b c (Å): 9.515 5.236 11.332
angles (deg): 90.00 106.11 90.00
Space group P2_1/m (No. 11)
Inequivalent atoms, fractional coordinates:
Pr 0.010 0.250 0.386
Pr 0.147 0.750 0.213
Pr 0.275 0.250 0.991
Y 0.441 0.250 0.605
Hg 0.037 0.750 0.915
Hg 0.167 0.250 0.700
Hg 0.269 0.750 0.502
Hg 0.352 0.250 0.312
Hg 0.358 0.750 0.811
Hg 0.440 0.750 0.114

Computed properties:
As for the spin magnetization: 0.0023 μB per atom. For the energy, the calculation gives -2.70 eV per atom. The value obtained for the calculated volume is 27.1 Å³ per atom. As for the formation energy: -0.435 eV per atom.

Density functional theory data (PBE-GGA) for crystalline YBeRhCl2 at its relaxed geometry.

a b c (Å): 4.291 4.291 4.937
angles (deg): 90.00 90.00 90.00
Space group P4/mmm (No. 123)
Inequivalent atoms, fractional coordinates:
Y 0.000 0.000 0.000
Be 0.500 0.500 0.500
Rh 0.500 0.500 0.000
Cl 0.000 0.500 0.500

Computed properties:
As for the spin magnetization: 0.0000 μB per atom. For the energy, the calculation gives -4.68 eV per atom. The value obtained for the calculated volume is 18.2 Å³ per atom. For the formation energy from raw total energies, the calculation gives -0.4284 eV/atom.

Density functional theory data (PBE-GGA) for crystalline CdB2N2 at its relaxed geometry.

a b c (Å): 3.520 3.520 6.880
angles (deg): 90.00 90.00 90.00
Space group I4/mmm (No. 139)
Inequivalent atoms, fractional coordinates:
Cd 0.000 0.000 0.000
B 0.000 0.000 0.358
N 0.000 0.500 0.250

Computed properties:
As for the spin magnetization: 0.0000 μB per atom. For the energy, the calculation gives -5.02 eV per atom. The value obtained for the calculated volume is 8.5 Å³ per atom. For the formation energy from raw total energies, the calculation gives 1.1651 eV/atom. The value obtained for the energy above the most stable polymorph in this dataset is 0.00 eV/f.u.

Density functional theory data (PBE-GGA) for crystalline Y5Tm3S8 at its relaxed geometry.

a b c (Å): 7.7764 7.7764 19.0911
angles (deg): 90.00 90.00 120.00
Space group R-3m (No. 166, hexagonal axes)
Inequivalent atoms, fractional coordinates:
Y 0.0000 0.0000 0.0000
Y 0.0000 0.0000 0.5000
Y 0.0000 0.5000 0.0000
Tm 0.0000 0.5000 0.5000
S 0.0000 0.0000 0.2473
S 0.0036 0.5018 0.7518

Computed properties:
As for the spin magnetization: 0.0000 μB per atom. For the energy, the calculation gives -6.89 eV per atom. The value obtained for the calculated volume is 20.8 Å³ per atom. For the formation energy from raw total energies, the calculation gives -1.9674 eV/atom.

Density functional theory data (PBE-GGA) for crystalline ScCu2Si at its relaxed geometry.

a b c (Å): 3.236 3.408 5.536
angles (deg): 90.00 90.00 90.00
Space group Pmmm (No. 47)
Inequivalent atoms, fractional coordinates:
Sc 0.000 0.000 0.000
Cu 0.500 0.500 0.267
Si 0.000 0.000 0.500

Computed properties:
As for the spin magnetization: 0.0000 μB per atom. For the energy, the calculation gives -5.12 eV per atom. The value obtained for the calculated volume is 15.3 Å³ per atom. For the formation energy from raw total energies, the calculation gives -0.1306 eV/atom.
-- stop --

(Here it is)
Density functional theory data (PBE-GGA) for crystalline La4CeTm3S8 at its relaxed geometry.

a b c (Å): 7.9921 7.9921 19.9486
angles (deg): 90.00 90.00 120.00
Space group R-3m (No. 166, hexagonal axes)
Inequivalent atoms, fractional coordinates:
La 0.0000 0.0000 0.0000
La 0.0000 0.5000 0.0000
Ce 0.0000 0.0000 0.5000
Tm 0.0000 0.5000 0.5000
S 0.0000 0.0000 0.2412
S 0.0075 0.5037 0.7572

Computed properties:
As for the spin magnetization: 0.0204 μB per atom. For the energy, the calculation gives -6.57 eV per atom. The value obtained for the calculated volume is 23.0 Å³ per atom. For the formation energy from raw total energies, the calculation gives -2.0658 eV/atom.

Density functional theory data (PBE-GGA) for crystalline Pr3YHg6 at its relaxed geometry.

a b c (Å): 9.515 5.236 11.332
angles (deg): 90.00 106.11 90.00
Space group P2_1/m (No. 11)
Inequivalent atoms, fractional coordinates:
Pr 0.010 0.250 0.386
Pr 0.147 0.750 0.213
Pr 0.275 0.250 0.991
Y 0.441 0.250 0.605
Hg 0.037 0.750 0.915
Hg 0.167 0.250 0.700
Hg 0.269 0.750 0.502
Hg 0.352 0.250 0.312
Hg 0.358 0.750 0.811
Hg 0.440 0.750 0.114

Computed properties:
As for the spin magnetization: 0.0023 μB per atom. For the energy, the calculation gives -2.70 eV per atom. The value obtained for the calculated volume is 27.1 Å³ per atom. As for the formation energy: -0.435 eV per atom.

Density functional theory data (PBE-GGA) for crystalline YBeRhCl2 at its relaxed geometry.

a b c (Å): 4.291 4.291 4.937
angles (deg): 90.00 90.00 90.00
Space group P4/mmm (No. 123)
Inequivalent atoms, fractional coordinates:
Y 0.000 0.000 0.000
Be 0.500 0.500 0.500
Rh 0.500 0.500 0.000
Cl 0.000 0.500 0.500

Computed properties:
As for the spin magnetization: 0.0000 μB per atom. For the energy, the calculation gives -4.68 eV per atom. The value obtained for the calculated volume is 18.2 Å³ per atom. For the formation energy from raw total energies, the calculation gives -0.4284 eV/atom.

Density functional theory data (PBE-GGA) for crystalline CdB2N2 at its relaxed geometry.

a b c (Å): 3.520 3.520 6.880
angles (deg): 90.00 90.00 90.00
Space group I4/mmm (No. 139)
Inequivalent atoms, fractional coordinates:
Cd 0.000 0.000 0.000
B 0.000 0.000 0.358
N 0.000 0.500 0.250

Computed properties:
As for the spin magnetization: 0.0000 μB per atom. For the energy, the calculation gives -5.02 eV per atom. The value obtained for the calculated volume is 8.5 Å³ per atom. For the formation energy from raw total energies, the calculation gives 1.1651 eV/atom. The value obtained for the energy above the most stable polymorph in this dataset is 0.00 eV/f.u.

Density functional theory data (PBE-GGA) for crystalline Y5Tm3S8 at its relaxed geometry.

a b c (Å): 7.7764 7.7764 19.0911
angles (deg): 90.00 90.00 120.00
Space group R-3m (No. 166, hexagonal axes)
Inequivalent atoms, fractional coordinates:
Y 0.0000 0.0000 0.0000
Y 0.0000 0.0000 0.5000
Y 0.0000 0.5000 0.0000
Tm 0.0000 0.5000 0.5000
S 0.0000 0.0000 0.2473
S 0.0036 0.5018 0.7518

Computed properties:
As for the spin magnetization: 0.0000 μB per atom. For the energy, the calculation gives -6.89 eV per atom. The value obtained for the calculated volume is 20.8 Å³ per atom. For the formation energy from raw total energies, the calculation gives -1.9674 eV/atom.

Density functional theory data (PBE-GGA) for crystalline ScCu2Si at its relaxed geometry.

a b c (Å): 3.236 3.408 5.536
angles (deg): 90.00 90.00 90.00
Space group Pmmm (No. 47)
Inequivalent atoms, fractional coordinates:
Sc 0.000 0.000 0.000
Cu 0.500 0.500 0.267
Si 0.000 0.000 0.500

Computed properties:
As for the spin magnetization: 0.0000 μB per atom. For the energy, the calculation gives -5.12 eV per atom. The value obtained for the calculated volume is 15.3 Å³ per atom. For the formation energy from raw total energies, the calculation gives -0.1306 eV/atom.